This article was originally published on on 21st August 2023. Click here to download a pdf of the report.
Key Findings
Full Report
1. Introduction
In this paper we examine how likely 5 different types of gamblers are to be asked for the Enhanced Financial Risk Checks (EFRCs) outlined in the Government White Paper.
The white paper suggested that operators are required to ask customers for EFRCs if they lose £1,000 in a day or £2,000 over a rolling 90 day period.
We use simulation modelling to examine the losses and likelihood of EFRCs being imposed on Owners, Form Students, Racing Enthusiasts, Accumulator Punters and Roulette Players.
We found that gamblers who prefer to bet in a well-considered manner, less often on lower margin products with higher stakes were far more likely to be asked for EFRCs than gamblers who bet more frequently with lower stakes. We also found that the gamblers who bet more frequently with lower stakes were more likely to sustain bigger losses over a longer period.
2. The Proposals in the Gambling White Paper and Gambling Commission Consultation
The Department for Culture, Media and Sport published its White Paper ‘High Stakes: Gambling Reform for the Digital Age’ in April 2023.
The paper stated that they wanted ‘obligations on operators to conduct checks to understand if a customer’s gambling is likely to be unaffordable and harmful.’
The proposal was for two types of ‘financial risk’ checks:
- Background checks for a loss of £125 in a month or £500 in a year. They would check for financial vulnerabilities such as CCJs.
Inserted here: crystal structures.
┌──
For BaPmBeN2, a cell relaxed with PBE gives the computed powder diffraction line list in this record (Cu Ka).
Kinematic intensities with the Lorentz-polarization factor, no thermal factor.

Main lines, low angle first (15° ≤ 2θ ≤ 90°):
| Position (°2θ) | intensity |
| --- | --- |
| 22.86 | 100 |
| 25.37 | 31 |
| 31.50 | 23 |
| 33.58 | 17 |
| 34.42 | 79 |
| 40.87 | 24 |
| 42.55 | 24 |
| 46.71 | 18 |
| 53.90 | 19 |
| 57.98 | 17 |

Atomic structure:
```
data_BaPmBeN2
_chemical_formula_sum 'Ba2 Pm2 Be2 N4'
_space_group_name_H-M_alt 'P c c m'
_space_group_IT_number 49
_cell_length_a 5.3374
_cell_length_b 5.6799
_cell_length_c 7.0204
_cell_angle_alpha 90.00
_cell_angle_beta 90.00
_cell_angle_gamma 90.00
loop_
_space_group_symop_operation_xyz
'x,y,z'
'-x,-y,-z'
'-x,-y,z'
'x,y,-z'
'x,-y,-z+1/2'
'-x,y,z+1/2'
'-x,y,-z+1/2'
'x,-y,z+1/2'
loop_
_atom_site_label
_atom_site_type_symbol
_atom_site_fract_x
_atom_site_fract_y
_atom_site_fract_z
_atom_site_occupancy
Ba1 Ba 0.0000 0.0000 0.2500 1
Pm1 Pm 0.5000 0.5000 0.2500 1
Be1 Be 0.0000 0.5000 0.0000 1
N1 N 0.2346 0.3411 0.0000 1
```


For Ho2Al12Cu7, a cell relaxed with PBE gives the computed powder diffraction line list in this record (Cu Ka).
Kinematic intensities with the Lorentz-polarization factor, no thermal factor.

Main lines, low angle first (15° ≤ 2θ ≤ 90°):
| Position (°2θ) | intensity |
| --- | --- |
| 17.71 | 22 |
| 30.75 | 45 |
| 30.93 | 22 |
| 35.71 | 100 |
| 35.87 | 17 |
| 44.18 | 21 |
| 46.35 | 16 |
| 48.07 | 39 |
| 51.51 | 22 |
| 68.99 | 17 |

Atomic structure:
```
data_Ho2Al12Cu7
_chemical_formula_sum 'Ho2 Al12 Cu7'
_space_group_name_H-M_alt 'P -3'
_space_group_IT_number 147
_cell_length_a 10.0153
_cell_length_b 10.0153
_cell_length_c 3.9179
_cell_angle_alpha 90.00
_cell_angle_beta 90.00
_cell_angle_gamma 120.00
loop_
_space_group_symop_operation_xyz
'x,y,z'
'-x,-y,-z'
'-y,x-y,z'
'y,-x+y,-z'
'-x+y,-x,z'
'x-y,x,-z'
loop_
_atom_site_label
_atom_site_type_symbol
_atom_site_fract_x
_atom_site_fract_y
_atom_site_fract_z
_atom_site_occupancy
Ho1 Ho 0.3333 0.6667 0.2615 1
Al1 Al 0.0493 0.4339 0.7517 1
Al2 Al 0.1133 0.2654 0.2542 1
Cu1 Cu 0.0000 0.0000 0.5000 1
Cu2 Cu 0.1245 0.7103 0.7554 1
```


For ScZn11Si, a cell relaxed with PBE gives the computed powder diffraction line list in this record (Cu Ka).
Kinematic intensities with the Lorentz-polarization factor, no thermal factor.

Main lines, low angle first (15° ≤ 2θ ≤ 90°):
| Position (°2θ) | intensity |
| --- | --- |
| 35.06 | 41 |
| 40.31 | 46 |
| 40.48 | 44 |
| 40.67 | 70 |
| 40.96 | 100 |
| 41.11 | 41 |
| 45.46 | 80 |
| 45.83 | 67 |
| 45.92 | 39 |
| 46.28 | 30 |

Atomic structure:
```
data_ScZn11Si
_chemical_formula_sum 'Sc2 Zn22 Si2'
_space_group_name_H-M_alt 'C 1 2/m 1'
_space_group_IT_number 12
_cell_length_a 5.1804
_cell_length_b 12.5259
_cell_length_c 6.7010
_cell_angle_alpha 90.00
_cell_angle_beta 112.37
_cell_angle_gamma 90.00
loop_
_space_group_symop_operation_xyz
'x,y,z'
'-x,-y,-z'
'-x,y,-z'
'x,-y,z'
'x+1/2,y+1/2,z'
└──
- Enhanced checks at £1,000 net loss in a day (‘binge gambling’) or £2000 net loss over 90 days (‘sustained losses over time’).
The values are halved for customers aged 18 to 24.
The paper made several further comments:
- The enhanced checks would only affect 3% of online gambling accounts.
- Intention for checks to be frictionless through open banking and/or credit reference agencies.
- Further information should only be requested as a last resort.
- Where there are serious concerns operators should share information.
- ‘ is not the intent that government or the Gambling Commission should set a blanket rule on how much of their
The Gambling Commission published its consultation document containing the financial risk checks in July 2023.
The background credit checks proposed are the same as the White Paper for £500 a year or £125 in a month losses.
For ‘binge gambling’ additional detail was added that a positive net position for the last 7 days could be taken into account. This means that if a gambler is on a good run in the last week they can gamble beyond the £1,000 loss limit for a day without checks. But beyond the 7 days previous wins are excluded from calculations. These checks would need to be repeated in six months if the £1000 daily threshold is reached again.
The ‘sustained losses over time’ checks are required if £2,000 is lost in a rolling 90 day period. These checks would also need to be repeated in six months if the £2,000 90 day threshold is reached again.
For the £1,000 and £2,000 checks, lifetime position of the account may not be taken into account or winnings from another operator when deciding to do a check.
Bets staked only contribute to the checks once they are settled as a loser.
The proposals state for £1,000 and £2,000 checks licensees must obtain credit performance data and; income and expenditure, including current account turnover data. Using this information and other information they know about the client they must manually make a decision to take proportionate action if risk is identified. The long term position of the account can be taken into account at this stage.
The Gambling Commission estimated 3.2% of betting accounts (1,000,000 accounts) would need an enhanced assessment for the £2,000 losses in 90 days. They also stated 2% of accounts would need to be assessed for 1 day losses of £1,000. It is important to note that many of the same accounts are going to cross both thresholds.
3. Different Types of Gamblers For Modelling
Five different types of gamblers were chosen to test if and when they would be subject to Enhanced Financial Risk Checks (EFRC).
Table 1 - Parameters for Each Gambler Type Simulated
Table 1 summarises each type of gambler.
Gambler 1 is a racehorse owner. He likes to bet £1,000 on his own horses twice a year at 5/1.
Gambler 2 is a serious form student. She is extremely selective with her selections betting £500 once every 2 weeks with a win single on an even money shot.
Gambler 3 is a racing enthusiast. He likes to place two win single bets a day of £25 on his best selections. They are always priced at 8/1.
Gambler 4 loves to bet on racing accumulators dreaming of a big win. Every day she bets £10 on two 4 horse accumulators. The accas are priced at 10,000/1.
Gambler 5 enjoys playing roulette. Everyday he bets £1 on 500 spins on red at even money.
4. The Simulation Model
The five customer types were run through simulation code. Each cohort was given 10,000 ‘customers accounts’ running the simulation 10,000 times. Each simulation run was for a fixed amount of time. We tested for 6 months, 1 year, 2 years, 3 years and 5 years. Every bet was simulated using a random number to determine the outcome. Results were stored for each worst single day (to check if £1,000 was lost) and rolling for every 90 days (to check if £2,000 was lost). The code for the simulation is in the Appendix of the full report.
5. Results Summary
Table 2 - Average Profit and Chance of Being asking for EFRC by Gambler Type
The owners have the lowest annual average annual loss of £131. 98% of these owners will have been asked for an EFRC within the first year. This is due to the request to have a £1,000 bet and that being regarded as binge gambling if the bet loses.
The Form Student has an average loss of £256 and a 66% chance of being asked for an EFRC in year 1 up to 97% by the end of year 3. The Racing Enthusiast placing 2 £25 win singles a day is next with an 89% chance of being asked for an EFRC within 3 years.
The Acca Punter and Roulette Player have the biggest average losses. They are also both extremely unlikely to be asked for an EFRC. The Acca Punter only stakes £20 a day (£1,800 in 90 days) keeping her under the £2,000 threshold at all times meaning no EFRC requests. The Roulette Player stakes £500 a day (£18,000 in 90 days) but bets with high frequency and low average stakes keeping his betting variance over 90 days very low. It is just steady losses for him through time resulting in an average loss of £4,920 over the year.
6. Detailed Results Analysis
6.1. Gambler 1 - Owner
The owner places a £1,000 bet on one of his own horses at 5/1 every 183 days. We have assumed the margin in favour of the betting operator on those bets is 5%.
Table 3 - Owner Average Loss and Chance of EFRC Through Time
Table 3 shows that in the simulation 100% of owners were asked for an EFRC by year 3. This is because as soon as the owner loses a bet he is required to do an EFRC. It is only a matter of time before that happens. The owner never places more than £1000 over a rolling 90 day period so has no chance of being required to do the £2000 checks.
Table 4 - Owners Average Win By Win Percentage Through Time
Table 4 shows the split between winning and losing owners in the 10,000 sample. The top 5% of accounts by profitability won an average of £15,860 over 5 years. The worst 15% of accounts lost £10,000. They lost every bet of 2 bets of £1000 a year for 5 years.
In Year 1 only 15% of owners made a profit and by Year 5 five this metric was up to 45%. This shows how mean reversion impacts high stakes low volume gambling through the randomness of results.
6.2. Gambler 2 - Form Student
The Form Student places a £500 bet on a well studied selection at even money every 14 days. We have assumed the margin in favour of the betting operator on those bets 2%. It is lower than the owner because the form student has more skill in her selections and the operator margin is generally lower for short price picks.
Table 5 - Form Student Average Loss and Chance of EFRC Through Time
Table 5 shows that in the simulation 97% of form students were asked for an EFRC by year 3. The average loss was around £250 a year.
Table 6 - Form Student Average Win By Win Percentage Through Time
Table 6 shows the split between winning and losing form students in the 10,000 sample. The top 5% of accounts by profitability won an average of £10,464 over 5 years. The worst 5% of accounts lost £13,084 in 5 years. 45% of accounts had made a profit in the first 3 years yet 90% of accounts had been asked to do an EFRC in that time.
Chart 1 - Example of Form Student Rolling Profit and Loss Over 3 Years
Chart 1 shows an example of a simulated form student. The blue line is the cumulative profit and loss. The orange line represents the rolling 90 day profit and loss. Despite always being in profit the form student would be asked for EFRC checks at 409 days and 802 days due to a random bad run of results. At both points she was over £1,500 in profit overall.
6.3. Gambler 3 - Racing Enthusiast
Attached: records of crystals >
........
(1)
# LaPr14Ho
Computed powder X-ray diffraction pattern, Cu Kα (weighted mean of Kα1 and Kα2). Input: a crystal structure in Alexandria, relaxed with PBE.
Peak positions follow from Bragg's law for the DFT cell and can differ from measured ones.

Structure:
```
LaPr14Ho
1.0
7.401 0.000 0.000
0.000 7.401 0.000
0.000 0.000 10.505
La Pr Ho
1 14 1
direct
0.000 0.000 0.000
0.000 0.000 0.500
0.000 0.500 0.000
0.000 0.500 0.500
0.252 0.252 0.248
0.252 0.252 0.752
0.252 0.748 0.248
0.252 0.748 0.752
0.500 0.000 0.000
0.500 0.000 0.500
0.500 0.500 0.500
0.748 0.252 0.248
0.748 0.252 0.752
0.748 0.748 0.248
0.748 0.748 0.752
0.500 0.500 0.000
```

The 10 most intense peaks (10 to 90 degrees two-theta), in order of rising 2θ:
2θ = 29.5°, intensity 100; 2θ = 34.1°, intensity 17; 2θ = 34.3°, intensity 34; 2θ = 49.2°, intensity 36; 2θ = 58.3°, intensity 15; 2θ = 58.5°, intensity 29; 2θ = 61.3°, intensity 13; 2θ = 79.7°, intensity 12; 2θ = 79.9°, intensity 6; 2θ = 82.4°, intensity 11



(2)
# La3Pr7Ho
Computed powder X-ray diffraction pattern, Cu Kα (weighted mean of Kα1 and Kα2). Input: a crystal structure in Alexandria, relaxed with PBE.
Peak positions follow from Bragg's law for the DFT cell and can differ from measured ones.

Structure:
```
La3Pr7Ho
1.0
6.561 -5.759 0.000
6.561 5.759 0.000
-2.789 0.000 5.377
La Pr Ho
3 7 1
direct
0.000 0.000 0.000
0.212 0.788 0.500
0.788 0.212 0.500
0.009 0.597 0.803
0.210 0.210 0.710
0.403 0.991 0.197
0.500 0.500 0.500
0.597 0.009 0.803
0.790 0.790 0.290
0.991 0.403 0.197
0.500 0.500 0.000
```

The 10 most intense peaks (10 to 90 degrees two-theta), in order of rising 2θ:
2θ = 24.2°, intensity 18; 2θ = 29.5°, intensity 72; 2θ = 30.7°, intensity 26; 2θ = 31.1°, intensity 33; 2θ = 31.5°, intensity 100; 2θ = 31.6°, intensity 76; 2θ = 43.1°, intensity 21; 2θ = 43.4°, intensity 26; 2θ = 53.6°, intensity 31; 2θ = 60.4°, intensity 17



(3)
# La8PrHo2
Computed powder X-ray diffraction pattern, Cu Kα (weighted mean of Kα1 and Kα2). Input: a crystal structure in Alexandria, relaxed with PBE.
Peak positions follow from Bragg's law for the DFT cell and can differ from measured ones.

Structure:
```
La8PrHo2
1.0
-2.895 4.187 8.211
2.895 -4.187 8.211
2.895 4.187 -8.211
La Pr Ho
8 1 2
direct
0.162 0.362 0.800
0.163 0.163 0.000
0.295 0.000 0.295
0.438 0.638 0.800
0.562 0.362 0.200
0.705 0.000 0.705
0.837 0.837 0.000
0.838 0.638 0.200
0.000 0.500 0.500
0.299 0.799 0.500
0.701 0.201 0.500
```

The 10 most intense peaks (10 to 90 degrees two-theta), in order of rising 2θ:
2θ = 28.7°, intensity 31; 2θ = 30.9°, intensity 37; 2θ = 31.0°, intensity 100; 2θ = 31.3°, intensity 18; 2θ = 32.5°, intensity 12; 2θ = 32.7°, intensity 14; 2θ = 55.0°, intensity 20; 2θ = 59.5°, intensity 13; 2θ = 60.7°, intensity 13; 2θ = 61.9°, intensity 12



(4)
# La3PrHo3
Computed powder X-ray diffraction pattern, Cu Kα (weighted mean of Kα1 and Kα2). Input: a crystal structure in Alexandria, relaxed with PBE.
........
The Racing Enthusiast places £25 bets on his two best selections of the day at 8/1. We have assumed the margin in favour of the betting operator on those bets of 10%.
Table 7 - Racing Enthusiast Average Loss and Chance of EFRC Through Time
Table 7 shows that in the simulation 76% of racing enthusiasts were asked for an EFRC by year 3. The average loss was around £1,800 a year or £5 a day.
Table 8 shows the split between winning and losing racing enthusiasts in the 10,000 sample. The top 25% of accounts by profitability won in the first 6 months. But after 5 years all of the accounts had lost money ranging from between £508 and £17,288.
Table 8 - Racing Enthusiast Average Win By Win Percentage Through Time
Chart 2 - Example of Racing Enthusiast Rolling Profit and Loss Over 3 Years
Chart 2 shows an example of a simulated racing enthusiast. The blue line is the cumulative profit and loss. The orange line represents the rolling 90 day profit and loss. Despite losing steadily since day number 400 it was not until the gambler was almost £5,000 down that the EFRC was requested for losing £2,000 over a 90 day period.
6.4. Gambler 4 - Acca Punter
The Acca Punter places £10 bets on two 4 horse accumulators everyday. The total odds for each accumulator is 10,000/1. We have assumed the margin in favour of the betting operator on those bets of 40%.
Table 9 - Acca Punter Average Loss and Chance of EFRC Through Time
Table 9 shows that the Acca Punter was never asked for an EFRC. This is because she always bet £20 a day. This means a total maximum loss over 90 days of £1,800 which is under the threshold for EFRCs. She lost on average £2,690 a year.
Table 10 shows the split between winning and losing racing enthusiasts in the 10,000 sample. The top 5% of accounts by profitability won in the 1st year rising to 20% in the 5th year as more of the sample won a 10,000/1 acca bet. 95% of accounts lost £7,300 in the first year with no EFRC checks.
Table 10 - Acca Punter Average Win By Win Percentage Through Time
Chart 3 shows an example of a simulated Acca Punter. She lost £20 a day for 3 years, never winning the 10,000/1 accumulator. The orange line shows the rolling 90 day total always on a £1800 loss.
Chart 3 - Example of Acca Punter Rolling Profit and Loss Over 3 Years
6.5. Gambler 5 - Roulette Player
The Roulette Player places £1 bets on red 500 times a day. The odds to win each spin at even money with a 2.7% house margin.
Table 11 - Roulette Player Average Loss and Chance of EFRC Through Time
Table 11 shows that the roulette player lost an average of around £5,000 a year. The percentage of players asked for EFRCs was extremely low starting at 0.4% in Year 1 up to 2.1% after 5 years.
Table 12 shows that even the top 5% of roulette players lost. The range in the first year was between £4,055 and £5,801.
Table 12 - Roulette Player Average Win By Win Percentage Through Time
Chart 4 - Example of Roulette Player Rolling Profit and Loss Over 3 Years
Chart 4 shows an example of a simulated Roulette Player. The orange line always remains above the £2,000 loss line despite £500 a day being bet on roulette. The losses are consistent due to the high number of low stake/low margin bets being placed.
7. Conclusion
The simulation models used in this paper have shown that proposed EFRCs on losses of £1,000 daily or £2,000 over 90 days are not fit for their intended purpose.
They would require the occasional gambler who wishes to have a large stake, well-considered bet to be checked whilst leaving lower staking more risky gamblers to bet freely.
A gambler playing roulette staking £500 a day is extremely unlikely to ever get requested for an EFRC whereas a horse racing gambler betting £500 on a well-considered win single every 2 weeks has a 97% chance of being checked within 3 years. The roulette gambler would incur average losses of £4,920 a year whereas the racing gambler’s losses would average just £256.
The roulette player could incur these losses undetected on up to 100 licenced British websites potentially racking up hundreds of thousands of losses a year. Conversely, the more considered gambler would eventually be shut down by all operators if he or she refused to provide information for EFRCs.